**Work order:**
The reader should type out the whole of the block below word for word.

**Data:**
+++
A cluster of 6 separate species, C34H42F40N2O10P2 in total. Source: the Open Molecules 2025 dataset; level of theory: ωB97M-V/def2-TZVPD.

ORCA input file:
```
! wB97M-V def2-TZVPD RIJCOSX def2/J DEFGRID3
* xyz 0 1
C -2.9223 4.4119 7.4095
N -3.3491 3.7503 6.1812
C -2.8450 2.3679 6.1282
C -2.9482 4.4864 5.0280
O -2.0575 5.3454 5.0454
C -3.7621 4.1854 3.8005
C -3.2200 4.8150 2.5374
O -2.1133 4.1088 2.0185
C -0.8357 4.6022 2.3587
C 0.1731 4.3172 1.2404
N 1.5323 4.0955 1.8573
P 1.7759 2.6316 2.5895
O 0.7544 2.2185 3.5418
O 2.0896 1.5143 1.4972
O 3.2052 2.8550 3.2882
P -0.4638 3.1388 -0.0415
C -1.0944 1.5882 0.6828
C 0.8507 2.7974 -1.2726
H -3.1934 5.4588 7.4044
H -3.4230 3.9495 8.2572
H -1.8490 4.3202 7.5752
H -3.4972 1.7106 6.6908
H -1.8315 2.3218 6.5216
H -2.8167 2.0253 5.0994
H -3.9156 3.1226 3.6527
H -4.7589 4.5938 3.9703
H -4.0088 4.7336 1.7901
H -3.0279 5.8775 2.6738
H -0.8715 5.6797 2.5111
H -0.4713 4.1887 3.2921
H 0.2823 5.2425 0.6876
H 2.2088 4.1599 1.0972
H 3.0488 1.4349 1.3665
H 3.4258 2.0227 3.7398
H -0.5753 1.2194 1.5623
H -2.1541 1.6698 0.8691
H -0.9789 0.8245 -0.0849
H 1.3006 3.7538 -1.5216
H 1.6129 2.0786 -0.9846
H 0.3437 2.4651 -2.1683
C 7.6124 3.4835 -1.4058
C 8.5981 2.3828 -1.8252
C 8.1441 1.3760 -2.8851
F 7.0304 0.7128 -2.5080
F 9.1306 0.4696 -3.0666
F 9.0562 1.7387 -0.7296
F 9.6588 3.0299 -2.3849
O 6.8277 3.2991 -0.2372
C 5.6441 2.6128 -0.2486
C 5.7031 1.3134 0.5661
F 6.7169 0.5249 0.1873
F 4.5341 0.6341 0.3592
F 5.1842 2.3980 -1.4974
F 4.7282 3.3887 0.3816
H 8.2485 4.3273 -1.1465
H 7.0015 3.8121 -2.2468
H 7.9572 1.8830 -3.8358
H 5.8081 1.5371 1.6301
C -0.5106 -3.1484 0.2978
C -1.3087 -2.5610 -0.8771
C -1.8579 -3.5357 -1.9182
F -0.8887 -4.2706 -2.4932
F -2.4706 -2.8181 -2.9033
F -0.5783 -1.5939 -1.4722
F -2.3965 -1.9546 -0.3288
O 0.9035 -3.1776 0.2245
C 1.5901 -4.1921 -0.3956
C 2.3354 -3.7211 -1.6516
F 1.5110 -3.0797 -2.5030
F 2.8449 -4.8028 -2.2852
F 0.8029 -5.2585 -0.6463
F 2.5478 -4.5986 0.4679
H -0.7038 -2.4604 1.1191
H -0.9133 -4.1129 0.6089
H -2.5977 -4.2055 -1.4714
H 3.1481 -3.0480 -1.3701
C 0.1078 9.4705 9.6812
C 0.6245 8.1459 9.1004
C -0.2383 7.4350 8.0557
F -1.4681 7.1470 8.5311
F 0.3643 6.2740 7.7165
F 0.9445 7.3007 10.1047
F 1.7842 8.4544 8.4514
O -0.5791 9.4632 10.9219
C -1.9258 9.2099 11.0172
C -2.2360 7.9046 11.7627
F -1.5707 6.8614 11.2330
F -3.5636 7.6575 11.6694
F -2.5388 9.2633 9.8170
F -2.4535 10.1976 11.7767
H 1.0119 10.0347 9.9016
H -0.4338 10.0473 8.9311
H -0.3356 8.0490 7.1558
H -1.9584 8.0047 12.8143
C -5.8941 -4.7059 -6.9298
C -5.1425 -4.8330 -8.2633
C -4.6515 -6.2211 -8.6798
F -3.8326 -6.7503 -7.7415
F -3.9635 -6.1080 -9.8348
F -4.1251 -3.9460 -8.2982
F -6.0297 -4.4655 -9.2319
O -5.1747 -4.3077 -5.7737
C -4.4817 -5.2019 -4.9952
C -2.9651 -4.9778 -5.0313
F -2.4913 -4.9575 -6.2964
F -2.3578 -6.0017 -4.3802
F -4.8129 -6.4790 -5.2790
F -4.8514 -4.9734 -3.7121
H -6.5865 -3.8817 -7.0904
H -6.5090 -5.5845 -6.7337
H -5.4933 -6.8994 -8.8426
H -2.7071 -4.0367 -4.5492
C 1.2078 -8.1967 -7.3576
C 0.3220 -8.0884 -8.6075
C -1.1886 -8.2393 -8.4273
F -1.5235 -9.4260 -7.8748
F -1.7791 -8.1697 -9.6432
F 0.7739 -8.9338 -9.5616
F 0.4983 -6.8216 -9.0801
O 1.8276 -9.4352 -7.0520
C 1.1857 -10.4256 -6.3509
C 0.9346 -11.6836 -7.1931
F 0.2940 -11.3916 -8.3403
F 0.1647 -12.5380 -6.4786
F 0.0585 -9.9820 -5.7593
F 2.0278 -10.8112 -5.3634
H 2.0513 -7.5434 -7.5722
H 0.7122 -7.7737 -6.4832
H -1.5797 -7.4326 -7.8036
H 1.8856 -12.1650 -7.4311
*
```

HOMO-LUMO gap = 0.2766 Ha
SMILES string = CN(C)C(=O)CCOC[C@@H](NP(=O)(O)O)P(C)C.FC(F)C(F)(F)COC(F)(F)C(F)F.FC(F)C(F)(F)COC(F)(F)C(F)F.FC(F)C(F)(F)COC(F)(F)C(F)F.FC(F)C(F)(F)COC(F)(F)C(F)F.FC(F)C(F)(F)COC(F)(F)C(F)F
LUMO = 0.0074 Eh
highest occupied orbital energy = -0.269 Eh
largest force on an atom = 0.0463 Eh/bohr

* * * * *

(1)
{
  "formula": "C26H55BF2NO18P3",
  "method": "wB97M-V/def2-TZVPD",
+++

**Reply:**
A cluster of 6 separate species, C34H42F40N2O10P2 in total. Source: the Open Molecules 2025 dataset; level of theory: ωB97M-V/def2-TZVPD.

ORCA input file:
```
! wB97M-V def2-TZVPD RIJCOSX def2/J DEFGRID3
* xyz 0 1
C -2.9223 4.4119 7.4095
N -3.3491 3.7503 6.1812
C -2.8450 2.3679 6.1282
C -2.9482 4.4864 5.0280
O -2.0575 5.3454 5.0454
C -3.7621 4.1854 3.8005
C -3.2200 4.8150 2.5374
O -2.1133 4.1088 2.0185
C -0.8357 4.6022 2.3587
C 0.1731 4.3172 1.2404
N 1.5323 4.0955 1.8573
P 1.7759 2.6316 2.5895
O 0.7544 2.2185 3.5418
O 2.0896 1.5143 1.4972
O 3.2052 2.8550 3.2882
P -0.4638 3.1388 -0.0415
C -1.0944 1.5882 0.6828
C 0.8507 2.7974 -1.2726
H -3.1934 5.4588 7.4044
H -3.4230 3.9495 8.2572
H -1.8490 4.3202 7.5752
H -3.4972 1.7106 6.6908
H -1.8315 2.3218 6.5216
H -2.8167 2.0253 5.0994
H -3.9156 3.1226 3.6527
H -4.7589 4.5938 3.9703
H -4.0088 4.7336 1.7901
H -3.0279 5.8775 2.6738
H -0.8715 5.6797 2.5111
H -0.4713 4.1887 3.2921
H 0.2823 5.2425 0.6876
H 2.2088 4.1599 1.0972
H 3.0488 1.4349 1.3665
H 3.4258 2.0227 3.7398
H -0.5753 1.2194 1.5623
H -2.1541 1.6698 0.8691
H -0.9789 0.8245 -0.0849
H 1.3006 3.7538 -1.5216
H 1.6129 2.0786 -0.9846
H 0.3437 2.4651 -2.1683
C 7.6124 3.4835 -1.4058
C 8.5981 2.3828 -1.8252
C 8.1441 1.3760 -2.8851
F 7.0304 0.7128 -2.5080
F 9.1306 0.4696 -3.0666
F 9.0562 1.7387 -0.7296
F 9.6588 3.0299 -2.3849
O 6.8277 3.2991 -0.2372
C 5.6441 2.6128 -0.2486
C 5.7031 1.3134 0.5661
F 6.7169 0.5249 0.1873
F 4.5341 0.6341 0.3592
F 5.1842 2.3980 -1.4974
F 4.7282 3.3887 0.3816
H 8.2485 4.3273 -1.1465
H 7.0015 3.8121 -2.2468
H 7.9572 1.8830 -3.8358
H 5.8081 1.5371 1.6301
C -0.5106 -3.1484 0.2978
C -1.3087 -2.5610 -0.8771
C -1.8579 -3.5357 -1.9182
F -0.8887 -4.2706 -2.4932
F -2.4706 -2.8181 -2.9033
F -0.5783 -1.5939 -1.4722
F -2.3965 -1.9546 -0.3288
O 0.9035 -3.1776 0.2245
C 1.5901 -4.1921 -0.3956
C 2.3354 -3.7211 -1.6516
F 1.5110 -3.0797 -2.5030
F 2.8449 -4.8028 -2.2852
F 0.8029 -5.2585 -0.6463
F 2.5478 -4.5986 0.4679
H -0.7038 -2.4604 1.1191
H -0.9133 -4.1129 0.6089
H -2.5977 -4.2055 -1.4714
H 3.1481 -3.0480 -1.3701
C 0.1078 9.4705 9.6812
C 0.6245 8.1459 9.1004
C -0.2383 7.4350 8.0557
F -1.4681 7.1470 8.5311
F 0.3643 6.2740 7.7165
F 0.9445 7.3007 10.1047
F 1.7842 8.4544 8.4514
O -0.5791 9.4632 10.9219
C -1.9258 9.2099 11.0172
C -2.2360 7.9046 11.7627
F -1.5707 6.8614 11.2330
F -3.5636 7.6575 11.6694
F -2.5388 9.2633 9.8170
F -2.4535 10.1976 11.7767
H 1.0119 10.0347 9.9016
H -0.4338 10.0473 8.9311
H -0.3356 8.0490 7.1558
H -1.9584 8.0047 12.8143
C -5.8941 -4.7059 -6.9298
C -5.1425 -4.8330 -8.2633
C -4.6515 -6.2211 -8.6798
F -3.8326 -6.7503 -7.7415
F -3.9635 -6.1080 -9.8348
F -4.1251 -3.9460 -8.2982
F -6.0297 -4.4655 -9.2319
O -5.1747 -4.3077 -5.7737
C -4.4817 -5.2019 -4.9952
C -2.9651 -4.9778 -5.0313
F -2.4913 -4.9575 -6.2964
F -2.3578 -6.0017 -4.3802
F -4.8129 -6.4790 -5.2790
F -4.8514 -4.9734 -3.7121
H -6.5865 -3.8817 -7.0904
H -6.5090 -5.5845 -6.7337
H -5.4933 -6.8994 -8.8426
H -2.7071 -4.0367 -4.5492
C 1.2078 -8.1967 -7.3576
C 0.3220 -8.0884 -8.6075
C -1.1886 -8.2393 -8.4273
F -1.5235 -9.4260 -7.8748
F -1.7791 -8.1697 -9.6432
F 0.7739 -8.9338 -9.5616
F 0.4983 -6.8216 -9.0801
O 1.8276 -9.4352 -7.0520
C 1.1857 -10.4256 -6.3509
C 0.9346 -11.6836 -7.1931
F 0.2940 -11.3916 -8.3403
F 0.1647 -12.5380 -6.4786
F 0.0585 -9.9820 -5.7593
F 2.0278 -10.8112 -5.3634
H 2.0513 -7.5434 -7.5722
H 0.7122 -7.7737 -6.4832
H -1.5797 -7.4326 -7.8036
H 1.8856 -12.1650 -7.4311
*
```

HOMO-LUMO gap = 0.2766 Ha
SMILES string = CN(C)C(=O)CCOC[C@@H](NP(=O)(O)O)P(C)C.FC(F)C(F)(F)COC(F)(F)C(F)F.FC(F)C(F)(F)COC(F)(F)C(F)F.FC(F)C(F)(F)COC(F)(F)C(F)F.FC(F)C(F)(F)COC(F)(F)C(F)F.FC(F)C(F)(F)COC(F)(F)C(F)F
LUMO = 0.0074 Eh
highest occupied orbital energy = -0.269 Eh
largest force on an atom = 0.0463 Eh/bohr

* * * * *

(1)
{
  "formula": "C26H55BF2NO18P3",
  "method": "wB97M-V/def2-TZVPD",